Information for First-time Visitors
Service Time
Sundays at 10:30 AM
Other Things About The Service
Our service follows a liturgical order either from The Lutheran Hymnal or from a printed bulletin. The ushers have an aid to following the service if it is from the hymnal. Our services last between 60 and 75 minutes. The sermon lasts no more than 15.
Where Do I Park?
We have two parking lots: one on 45th Street and a larger one south of the church off Maybelle Street. The main church doors also face Maybelle.
How Should I Dress?
Wear your Sunday best. You will find people dressed in shorts, blue jeans, dresses, suits, and sports coats.
What About Communion?
Trinity practices Closed Communion which is explained here. If you are a first time guest, definitely speak with the pastor before coming forward to receive Communion.
Where Do My Kids Go?
Your kids come to service with you. We have a nursery equipped with a speaker, but it is not a staffed nursery. It is for those times when, for any number of reasons, an infant or toddler is inconsolable, and a parent needs a place to take them. We don't believe in segregating families for worship. We think that is unhealthy, un-Scriptural, and teaches something we don't want taught, i.e. that church is for adults.
┌──
PuZrC: relaxed, PBE-GGA.

## Properties
- uncorrected energy (Ry per atom) = -0.800
- symmetry = P3m1
- magnetic moment (μB/f.u.) = 4.90

a = 3.3245 Å, b = 3.3245 Å, c = 5.9798 Å
α = 90.00°, β = 90.00°, γ = 120.00°
Last column: nearest neighbours and their distance in Å.
Atoms (fractional coordinates):
Pu  0.0000  0.0000  0.0000  3 C 2.43
Zr  0.6667  0.3333  0.4572  3 C 2.29
C  0.3333  0.6667  0.2490  3 Zr 2.29, 3 Pu 2.43

----------

# MnCuGeO4, optimized geometry, DFT GGA+U
data_MnCuGeO4
_cell_length_a 5.807
_cell_length_b 8.666
_cell_length_c 6.474
_cell_angle_alpha 90.00
_cell_angle_beta 90.00
_cell_angle_gamma 90.00
_symmetry_space_group_name_H-M 'C m c m'
_symmetry_Int_Tables_number 63
_symmetry_space_group_name_Hall '-C 2c 2'
loop_
_atom_site_label
_atom_site_fract_x
_atom_site_fract_y
_atom_site_fract_z
Mn1 0.000 0.000 0.000
Cu1 0.000 0.314 0.250
Ge1 0.000 0.355 0.750
O1 0.000 0.238 0.526
└──
[Back to the entry]
What About Sunday School?
From 9:15 to 10:10 we have Sunday School for kids ages 3 years to 8th grade. For the rest – high school to old folks – we have a Bible Class taught by our pastor. For these, enter the building by the gray doors facing Maybelle. Take the first right. Down that hall are the Sunday School classes. The first left takes you to the auditorium and Bible Class.
But I Don't Understand the Worship Service
That's what some folks say the first time they visit a liturgical church service. That's not surprising. The first hour on a job you can't understand everything about the job. The first hour in foreign county you do not know its customs. The first time you order Starbucks their language and customs are strange. The liturgy is the special activity of the baptized people of God. It has its own special language (jargon) like we do at our workplaces. It has its own customs just like we do with our families. The liturgy is the place where God reveals Himself to us and gives us His gifts. The language of the liturgy comes mostly from Scripture – most of it word for word, and it has been used in the Church for almost 2,000 years. So don't worry if it all seems strange. Like anything else, you learn by repetition.